My little sister and I are gonna try and do joke subs for next season...

My little sister and I are gonna try and do joke subs for next season. Neither of us have any subbing experience or understand more Japanese than the casual weeaboo. What show should we do?

Are you blood related?

Berserk, and make sure to upload your false subs to as many stream sites as you can.

Have sex with her.

Have sex with her.



This sounds great. I might have to convince her though because it's not her usual thing. She's into watching really shitty shojo ironically.

[Someone pasted crystal structures at this point]
........
A geometry-optimized KFeRe3 structure. Source: Alexandria via LeMat-Bulk, functional GGA-PBE.

The structure in extended XYZ format:
```
5
Lattice="-1.702 3.146 2.870 -3.130 -3.020 1.454 2.887 -1.419 3.268" Properties=species:S:1:pos:R:3 pbc="T T T"
Re -1.565 -1.510 0.727
Re 1.443 -0.709 1.634
Re -0.851 1.573 1.435
K -0.973 -0.646 3.796
Fe 0.000 0.000 0.000
```

Calculated values
E_form: 44.27 kcal/mol of atoms
SG: Pm-3m (221)
Total DFT energy (no corrections): -0.2742 hartree per atom
Distance to the lowest polymorph of the same formula: 0.00 eV/f.u.

----------

VASP calculation (GGA-PBE) on a geometry-optimized UAl5Zn7 structure.

Geometry as extended XYZ:
```
13
Lattice="5.107 0.000 2.097 2.572 6.254 1.003 0.177 -0.029 6.834" Properties=species:S:1:pos:R:3 pbc="T T T"
Al 3.819 3.106 1.578
Al 0.104 0.019 3.401
Al 5.808 4.890 7.655
Al 1.281 3.106 0.536
Al 2.642 0.019 4.443
Zn 4.611 4.902 3.304
Zn 2.060 1.303 2.250
Zn 6.825 4.046 5.180
Zn 3.246 1.320 6.627
Zn 6.126 2.212 6.882
Zn 3.581 4.030 5.813
Zn 4.275 2.198 4.124
U 2.759 6.200 7.814
```

## Properties
Density of states at the Fermi level ... 8.4 states/eV/f.u.
Total magnetic moment ... 2.69 μB/cell
Calculated total energy ... -3.02 eV/atom

VASP calculation (GGA-PBE) on a geometry-optimized UAlZn2 structure.

Geometry as extended XYZ:
```
4
Lattice="2.771 0.000 0.000 0.000 2.771 0.000 0.000 0.000 8.881" Properties=species:S:1:pos:R:3 pbc="T T T"
Al 1.386 1.386 0.000
Zn 0.000 0.000 1.990
Zn 0.000 0.000 6.890
U 1.386 1.386 4.440
```

## Properties
Density of states at the Fermi level ... 3.1 states/eV/f.u.
Total magnetic moment ... 1.47 μB/cell
Calculated total energy ... -4.35 eV/atom

----------

DFT (PBE) results for a relaxed structure of CeDyMgCd.

POSCAR file:
```
CeDyMgCd
1.0
-4.0289 1.9211 2.9862
-4.2779 -3.0765 1.0365
-0.8064 -1.8947 4.9598
Dy Cd Mg Ce
1 1 1 1
Direct
0.5000 0.5000 0.5000 Dy
0.7500 0.7500 0.7500 Cd
0.2500 0.2500 0.2500 Mg
0.0000 0.0000 0.0000 Ce
```

raw total energy	-3.3578	eV per atom
total moment	0.35	μB/atom
crystal system	cubic
E_form	-96	meV per atom
........

We're not sure honestly. Parents died when we she was really young and they were pretty fucked up so who knows. I'm her primary caretaker now.



I told her people are just posting porn and she said she wants to punch you.

I don't give a fuck.

Fuck off.

Mr angry porn poster would probably enjoy that

Saiki Kusuou, trust me on this.
There is no neo-Sup Forums, keep your meme on Sup Forums.

I hope you enjoy tour ban, you fucking spic subhuman.

Did you make sure you had sex with her?


Puzzle and Dragons seems like it would work. It's a kids adaption of a mobage, so it's not a comedy to begin with and you don't really need prior knowledge of anything, since the game has no lore.

I was actually thinking of that one. She was leaning towards the Zestria adaptation because she knows how shitty the game is, but she just remembered that she read Hatsukoi Monster and it was awful so maybe that might happen.

== Misplaced materials data ==
┌──
# Sm2Ga4CoCu3

A relaxed Sm2Ga4CoCu3 crystal (PBE, the Alexandria database).

Calculated values
formation enthalpy at 0 K: -0.419 eV/atom
space group: P-4m2 (115)
M_tot: 0.97 μB/cell

Cell: 4.1485 4.1485 10.1794 Å, 90.00 90.00 90.00°
Closest atoms and distances in Å follow each position.
Fractional coordinates of all 10 atoms:
1 Ga 0.5000 0.0000 0.6245  2 Co 2.43, 3 Cu 2.43-2.44
2 Ga 0.0000 0.0000 0.0000  4 Cu 2.49
3 Co 0.5000 0.5000 0.5000  4 Ga 2.43
4 Cu 0.0000 0.0000 0.5000  4 Ga 2.43
5 Ga 0.0000 0.5000 0.3755  3 Cu 2.43-2.44, 2 Co 2.43
6 Sm 0.0000 0.5000 0.7433  8 Ga 3.17-3.34, 6 Cu 3.18-3.23, 2 Co 3.23
7 Ga 0.5000 0.5000 0.0000  4 Cu 2.49
8 Sm 0.5000 0.0000 0.2567  8 Ga 3.17-3.34, 6 Cu 3.18-3.23, 2 Co 3.23
9 Cu 0.5000 0.0000 0.8641  5 Ga 2.44-2.49
10 Cu 0.0000 0.5000 0.1359  5 Ga 2.44-2.49



# BaYAg2

A relaxed BaYAg2 crystal (PBE, the Alexandria database).

Calculated values
energy relative to the lowest polymorph listed for this composition: 0.170 eV/atom
formation enthalpy at 0 K: -0.079 eV/atom
space group: R3m (160)
M_tot: 0.72 μB/cell

Cell: 7.2961 7.2961 7.2961 Å, 38.54 38.54 38.54°
Closest atoms and distances in Å follow each position.
Fractional coordinates of all 4 atoms:
1 Y 0.7033 0.7033 0.7033  6 Ag 3.06-3.08
2 Ag 0.9709 0.9709 0.9709  3 Ag 2.78, 3 Y 3.08
3 Ba 0.5187 0.5187 0.5187  6 Ag 3.68-3.72, 4 Y 3.74-4.10
4 Ag 0.3071 0.3071 0.3071  3 Ag 2.78, 3 Y 3.06



# Rb4TaTe5

A relaxed Rb4TaTe5 crystal (PBE, the Alexandria database).

Calculated values
uncorrected formation energy: -7.1 eV/f.u.
space group: I4 (79)
M_tot: 0.94 μB/cell

Cell: 7.4006 8.6995 8.6995 Å, 79.58 64.83 64.83°
Closest atoms and distances in Å follow each position.
Fractional coordinates of all 10 atoms:
1 Ta 0.0913 0.0000 0.0000  5 Te 2.62-2.76
2 Te 0.9194 0.3034 0.8481  1 Ta 2.76
3 Te 0.2228 0.8481 0.6966  1 Ta 2.76
4 Te 0.0709 0.6966 0.1519  1 Ta 2.76
5 Te 0.4451 0.0000 0.0000  1 Ta 2.62
6 Te 0.7675 0.1519 0.3034  1 Ta 2.76
7 Rb 0.5855 0.6108 0.2149  5 Te 3.52-3.82
8 Rb 0.8004 0.7851 0.6108  5 Te 3.52-3.82
9 Rb 0.1962 0.2149 0.3892  5 Te 3.52-3.82
10 Rb 0.4111 0.3892 0.7851  5 Te 3.52-3.82



What are the DFT total energy values for these records? In order: -45.133; -14.403; -38.499 eV per cell.
└──
== Here the article continues ==

Yeah, but zestria is more of a "generic fantasy" show that you wouldn't be able to make really entertaining trollsubs out of.

91 Days and Relife are the only good things I see on the list.

[These materials data were left in the page by mistake]
┌──
Record 1
The following is a PBE calculation of an optimized crystal structure of SmScNiIr, from Alexandria.

Summary:
symmetry	F-43m (216)
N(E_F)	2.5	states/eV/f.u.
total energy	-7.0021	eV/atom
energy of formation from the pure elements	-0.58	eV per atom

Geometry as POSCAR:
```
SmScNiIr
1.0
0.000 3.355 3.355
3.355 0.000 3.355
3.355 3.355 0.000
Sm Sc Ni Ir
1 1 1 1
Direct
0.000 0.000 0.000
0.500 0.500 0.500
0.750 0.750 0.750
0.250 0.250 0.250
```

---

Record 2
The following is a PBE calculation of an optimized crystal structure of LiAg2Pd4Au2, from Alexandria.

Summary:
symmetry	P-1 (2)
N(E_F)	5.2	states/eV/f.u.
total energy	-3.8872	eV/atom
energy of formation from the pure elements	0.00	eV per atom

Geometry as POSCAR:
```
LiAg2Pd4Au2
1.0
5.386 0.000 0.000
2.669 4.824 0.000
2.605 -0.190 5.907
Li Ag Pd Au
1 2 4 2
Direct
0.000 0.000 0.000
0.284 0.839 0.595
0.716 0.161 0.405
0.178 0.361 0.790
0.324 0.639 0.208
0.676 0.361 0.792
0.822 0.639 0.210
0.318 0.152 0.204
0.682 0.848 0.796
```

---

Record 3
The following is a PBE calculation of an optimized crystal structure of Cd2HgAs, from Alexandria.

Summary:
symmetry	I-42d (122)
N(E_F)	2.8	states/eV/f.u.
total energy	-1.5606	eV/atom
energy of formation from the pure elements	0.13	eV per atom
energy above the lowest structure with this stoichiometry	0.48	eV per formula unit

Geometry as POSCAR:
```
Cd2HgAs
1.0
-3.270 3.270 6.255
3.270 -3.270 6.255
3.270 3.270 -6.255
Cd Hg As
4 2 2
Direct
0.074 0.625 0.949
0.375 0.324 0.449
0.676 0.125 0.051
0.875 0.926 0.551
0.250 0.750 0.500
0.500 0.500 0.000
0.000 0.000 0.000
0.750 0.250 0.500
```

---

Record 4
The following is a PBE calculation of an optimized crystal structure of Sm5USb6, from Alexandria.

Summary:
symmetry	C2/m (12)
N(E_F)	10.6	states/eV/f.u.
total energy	-5.9756	eV/atom
formation energy (no corrections)	-1.007	eV/atom

Geometry as POSCAR:
```
Sm5USb6
1.0
3.857 -6.689 0.000
3.857 6.689 0.000
-2.574 0.000 7.274
Sm U Sb
5 1 6
Direct
0.000 0.000 0.000
0.166 0.834 0.500
0.331 0.669 0.000
0.669 0.331 0.000
0.834 0.166 0.500
0.500 0.500 0.500
0.089 0.418 0.253
0.254 0.254 0.748
0.418 0.089 0.253
0.582 0.911 0.747
0.746 0.746 0.252
0.911 0.582 0.747
```

---

Record 5
The following is a PBE calculation of an optimized crystal structure of AcInH6Pt2, from Alexandria.

Summary:
symmetry	C2/c (15)
N(E_F)	1.0	states/eV/f.u.
total energy	-4.2220	eV/atom

Geometry as POSCAR:
```
AcInH6Pt2
1.0
4.998 -4.450 0.000
4.998 4.450 0.000
-3.695 0.000 5.872
Ac In H Pt
2 2 12 4
Direct
0.157 0.843 0.750
0.843 0.157 0.250
0.434 0.566 0.250
0.566 0.434 0.750
0.070 0.731 0.288
0.102 0.209 0.062
0.153 0.580 0.937
0.209 0.102 0.562
0.269 0.930 0.212
0.420 0.847 0.563
0.580 0.153 0.437
0.731 0.070 0.788
0.791 0.898 0.438
0.847 0.420 0.063
0.898 0.791 0.938
0.930 0.269 0.712
0.180 0.339 0.748
0.339 0.180 0.248
0.661 0.820 0.752
0.820 0.661 0.252
```

---

Record 6
The following is a PBE calculation of an optimized crystal structure of YCoIr3, from Alexandria.

Summary:
└──

Good I guess.

I thought about that, but we want something that's terrible in a really spectacular way and not just bad because it's a straightforward shonen Saturday morning kind of deal.

I think it depends on how much they focus on character interaction. Skits in Tales of, especially in Zestria, can get more cringey and anime trope-y than most airing shows and if they give any of that screen time than it could be a real shit show.

I actually might be into 91 Days since it's an original so I'm not sure if I want to do that. ReLife looks like trash though so maybe. We might just have to wait for raws and PVs to make a decision.

BERSERK with something IDOLMASTER remated subs. you need to do it and if you do it, you will be my hero.

>We're not sure honestly. Parents died when we she was really young and they were pretty fucked up so who knows. I'm her primary caretaker now.
Sound like a setting from an eroge

Onara Gorou obviously

Definitely taken into consideration.

Feels to obvious and looks like it's going to be surreal enough on it's own.

This might be important to mention, but these subs are going to be ugly. Uglier than hardcoded yellow subs potentially.